Tuesday, November 10, 2015

A Time to . . .

Verse of the Week

Teach me and I will be silent; and cause me to understand in what I have erred.

(Job 6:24)

Thought for the Week

If only mankind would listen. There is no doubt that knowledge and technology have exploded across the globe during the last century and some have equated this with progress. Yet with the unprecedented number of deaths in the last century from war, genocide, democide, famine, etc it makes one wonder why anyone would call it progress as well as giving one cause to pause and wonder how and why this could all happen.

The why seems simple enough - Satan and his evil machinations. With Satan's influence it seems man and evil are bound together like hand and glove. Then again gloves allow each digit to operate individually as well as to be individually encased so perhaps foot in sock is a better analogy. Evil it seems often flourishes best in a collective setting rather than an individual one - consider "mob mentality", "herd mentality", etc. In the war against evil we are all "socked" in by the evil around us and many are too engrossed in their own battles to offer aid to their neighbor - which leads us to the "how this has happened"

The how seems to be fairly simple too - death from disinterest or self-interests. Apathy is Satan's greatest defensive measure as it deters the collective will to act against evil. Sadly, though we are collectively surrounded by evil, most folks just "go along to get along" and are content as long as they have their own little space for wiggle room. And therein lays the danger because socks are a far more dangerous environment than gloves - consider the problem of athlete's foot but who has ever heard of athlete's hand. One dirty digit places us all at risk of succumbing to the fungus of evil that surrounds us.

The evil ones among us, like Satan, are knowledgeable about the Bible and are adept at citing Scripture in support of evil (e.g. Matthew 4:6); and, like Satan (and the mainstream media) they tend to pull things out context to suit their own views (e.g. Matthew 7:1/5). Knowledge, in and of itself, is neither good nor evil: The application of knowledge is; and, practically every bit of knowledge man has gained, even that designed for good, has been twisted to serve an evil purpose. This is in essence from a lack of wisdom - as if knowledge and wisdom held a relationship of inverse proportion and the more knowledgeable man becomes the more absurd he behaves.

The Word teaches us that fear (reverence) of YHWH is the beginning of both knowledge (Proverbs 1:7) and wisdom (Proverbs 9:10, Psalms 111:10). From almost the very beginning man has sought knowledge at the expense of reverence and wisdom. Just as man's knowledge has grown exponentially during the last century so too has his reverence for his Creator decreased. Is it any wonder that wisdom is so lacking?

To understand and gain mastery in any endeavor, whether it is in a scientific field, a sport, a skill, etc., one must first learn, and then always apply, the basic fundamentals. Man, in his attempts to understand and gain mastery over himself and his environment, has strayed from the basic fundamentals - how and why he came to exist.

Man was created by and for YHWH. This knowledge, and the wisdom it brings, is the only source of protection from the evil that surrounds us. It is a vaccine against the rabid evil that is engulfing all of mankind. A person vaccinated against rabies may be safe from rabies but they are not safe from attack from an infected rabid person. The more people vaccinated the greater the level of individual protection. Have compassion on your fellow man, get involved, and help spread this knowledge, this understanding, this wisdom, before it is too late.

So let your light shine before men, so that they may see your good works, and may glorify your Father in Heaven.

(Matthew 5:16)

Quote of the Week

Little did we guess that what has been called the century of the common man would witness as its outstanding feature more common men killing each other with greater facilities than any other five centuries together in the history of the world. -- Winston Churchill

There is an old adage that says "hope for the best, prepare for the worst". We should never underestimate man's cruelty to man. History shows evil is increasing in its frequency, intensity, and scope. The children of YHWH hope for Jesus' quick return; but, we must be prepared to endure.

- Churchill also said, "You can always count on Americans to do the right thing - after they've tried everything else." I fear America's will to do the right thing has become so diluted by Muslims from the East, Catholics from the South, and homosexuals/liberals from within, that doing the right thing has become a thing of the past.

Did You Know

Democide: any murder by government - by officials acting under the authority of government. In the last century there have been an estimated 250 to 300 million deaths by democide. Comment: This also happens to be the estimated population of the entire world when Jesus was crucified (all these numbers are depending upon the source, of course).

Genocides from 1900 to 2000 claimed an estimated 45 to 50 million lives. Comment: This is a little more than the number of military deaths due to war over the last century.

Global death from famine in 2000 was about the same ratio wise as it was in 1900 - about 3 per 100,000 people. Comment: Deaths from famine seem worse today because the population is greater - from just over 1 billion in 1900 to almost 7 billion in 2000 - so the number of deaths in 2000 were higher even though the ratio was the same (1900 versus 2000). Note also that this varies widely, for example death by famine during the last century peaked in the 1920's at 814 per 100,000.

-- Someone pasted data records at this point --
~~~
Record 1
Diffraction record for Y4TmOs2. The powder XRD pattern is simulated, not measured: it uses DFT lattice parameters and positions (GGA-PBE) and λ = 1.5418 Å (Cu Kα).

Atomic structure:
```
data_Y4TmOs2
_chemical_formula_sum 'Y8 Tm2 Os4'
_cell_length_a 7.846
_cell_length_b 6.274
_cell_length_c 7.905
_cell_angle_alpha 90.00
_cell_angle_beta 112.23
_cell_angle_gamma 90.00
_space_group_name_H-M_alt 'P 1'
_space_group_IT_number 1
_space_group_name_Hall 'P 1'
loop_
_atom_site_label
_atom_site_type_symbol
_atom_site_fract_x
_atom_site_fract_y
_atom_site_fract_z
Y1 Y 0.121 0.250 0.479
Y2 Y 0.175 0.750 0.253
Y3 Y 0.262 0.501 0.918
Y4 Y 0.262 0.999 0.918
Y5 Y 0.738 0.001 0.082
Y6 Y 0.738 0.499 0.082
Y7 Y 0.825 0.250 0.747
Y8 Y 0.879 0.750 0.521
Tm1 Tm 0.469 0.250 0.340
Tm2 Tm 0.531 0.750 0.660
Os1 Os 0.087 0.250 0.123
Os2 Os 0.475 0.250 0.750
Os3 Os 0.525 0.750 0.250
Os4 Os 0.913 0.750 0.877
```

The 6 most intense peaks (2θ = 10–90°), sorted by position:
d [Å], I/Imax
6.538, 57
3.137, 85
2.828, 67
2.447, 100
2.374, 80
2.332, 56

Record 2
Diffraction record for AlTe2RuI. The powder XRD pattern is simulated, not measured: it uses DFT lattice parameters and positions (GGA-PBE) and λ = 1.5418 Å (Cu Kα).

Atomic structure:
```
data_AlTe2RuI
_chemical_formula_sum 'Al1 Te2 Ru1 I1'
_cell_length_a 5.158
_cell_length_b 5.158
_cell_length_c 5.788
_cell_angle_alpha 90.00
_cell_angle_beta 90.00
_cell_angle_gamma 90.00
_space_group_name_H-M_alt 'P 1'
_space_group_IT_number 1
_space_group_name_Hall 'P 1'
loop_
_atom_site_label
_atom_site_type_symbol
_atom_site_fract_x
_atom_site_fract_y
_atom_site_fract_z
Al1 Al 0.000 0.000 0.000
Te1 Te 0.000 0.500 0.500
Te2 Te 0.500 0.000 0.500
Ru1 Ru 0.500 0.500 0.500
I1 I 0.500 0.500 0.000
```

The 6 most intense peaks (2θ = 10–90°), sorted by position:
d [Å], I/Imax
5.788, 51
5.158, 82
3.086, 100
2.894, 61
2.579, 88
1.925, 74

Record 3
Diffraction record for Be2AsW. The powder XRD pattern is simulated, not measured: it uses DFT lattice parameters and positions (GGA-PBE) and λ = 1.5418 Å (Cu Kα).

Atomic structure:
```
data_Be2AsW
_chemical_formula_sum 'Be2 As1 W1'
_cell_length_a 4.742
_cell_length_b 4.740
_cell_length_c 3.437
_cell_angle_alpha 68.78
_cell_angle_beta 68.71
_cell_angle_gamma 42.51
_space_group_name_H-M_alt 'P 1'
_space_group_IT_number 1
_space_group_name_Hall 'P 1'
loop_
_atom_site_label
_atom_site_type_symbol
_atom_site_fract_x
_atom_site_fract_y
_atom_site_fract_z
Be1 Be 0.000 0.000 0.000
Be2 Be 0.250 0.250 0.250
As1 As 0.750 0.750 0.750
W1 W 0.500 0.500 0.500
```

The 6 most intense peaks (2θ = 10–90°), sorted by position:
d [Å], I/Imax
3.167, 100
2.130, 34
2.087, 65
2.035, 15
1.719, 18
1.338, 15

Record 4
Diffraction record for ThNi3As3. The powder XRD pattern is simulated, not measured: it uses DFT lattice parameters and positions (GGA-PBE) and λ = 1.5418 Å (Cu Kα).

Atomic structure:
```
data_ThNi3As3
_chemical_formula_sum 'Th2 Ni6 As6'
_cell_length_a 8.126
_cell_length_b 8.126
_cell_length_c 4.175
~~~

Back in the 1960's a Norwegian statistician added up all of the wars through history. The total was 14,531. Comment: There have been more than 264 wars recorded in the last century. That would be about a 10% increase over the average of 242 (14,531 divided by 60 centuries of recorded history).

Sunday, November 1, 2015

US Downfall vs Nazification

Verse of the Week

                    Rejoice not against me, my enemy; for if I fall, I shall arise. For if I sit in darkness,

                    YAHWEH is a light to me.

                    (Micah 7:8)

Thought for the Week

          It is not hard these days to find articles comparing the US to either Rome before it fell or to Germany when the Nazi's began to seize power; and, ironically there are indeed many similarities to both comparisons. There are many reasons why Rome fell as a superpower as well as why Germany fell under Nazi sway but in both cases there was a very simple underlying factor - the people themselves allowed it. It is well known that Rome had deteriorated within into a corrupt welfare state under the sway of dictators and freeloaders long before the empire was attacked from without. As for Germany it is common these days to point at the Nazi's as if they conquered Germany but that is untrue - a few wanted power and most of the rest submitted in their own selfish interests.

           Among many of the  eerie similarities between Nazi Germany and the present US is the wandervogel of Germany in the 1920's and the hippies of the 1960's in the US. Many of the youth of the wandervogel later became right wing Nazi leaders - just as most of the hippies have become left wing socialists and now lead the US.

          The right wing fanatics of Germany that blamed all their ills on Jewry are mirrored today in the US by the left wing fanatics who blame all their ills on Christians. Sadly the US has a triple dose of fanatics when you add the right wing racists who still blame the Jews and then also add the Muslims who blame Jews and Christian alike.

          Make no mistake these left wingers are fanatics and anyone who believes the left wing liberals are for "peace and love" and are anti-violence is suffering under a delusion - consider animal rights/environmental terrorists, black lives matter advocates, millions of abortions, etc. And, the left wing fanatics today, like the Nazi's, understand the power of indoctrinating the next generation while propagandizing their view on the current generation.

          Consider that when the Nazi's attacked other nations they gained many allies against the Jews. In Lithuanian, which was predominately Roman Catholic, in what became known as the Kaunas Massacre, regular citizens beat dozens of Jews to death and then danced over the bodies to tunes from an accordion. At other massacres (e.g. at Butrimonys, Alytus, etc) the locals "worked for the Germans" just so they could have the Jew's property. In fact, in the Baltic States, 80% of the murders were done by local death squads.

           Mob mentality is as dangerous on a national level as it is in a local lynch mob. The Nazi's turned half the world into a lynch mob against Jews. Today the US left is doing the same but against Christians.

          Karl Jaspers, a Swiss-German scholar, made on observation after the defeat of the Nazi's:

                    "That which has happened is a warning. To forget it is guilt. It must be continually                                         remembered. It was possible for this to happen, and it remains possible for it

                    to happen again at any minute. Only in knowledge can it be prevented."

          Physical genocide against Christians is already becoming a reality in Africa and the Middle East. Just as the West ignored the plight of the Jews it is ignoring the plight of Christians. Left wing propaganda has created a bias against Christians, that is already running rampant in Europe and the US, that borders on Intellectual and emotional genocide. History has proven that when the masses are taught to hate the killing soon follows.

          The war of words is being lost, evil is winning. The Word of YHWH is already being banned from schools, the workplace, and the public square. And what is the next logical step? Well, does it not explain the left's rabid demands to disarm the public? The left knows it will not be able to completely ban the Bible unless they first ban the ability to keep it. The children of YHWH will triumph in the end when the Lord finally unleashes the wrath of YHWH! Until then . . .  Then they will deliver you up to affliction, and will kill you, and you will be hated by all nations because of my name. And then many will be offended, and they will deliver up one another and will hate one another.

(Matthew 24:9-10)

Quote of the Week

          God protect and strengthen you for everything that still may come before this insanity in which we are forced to live reaches its end. -- Max Planck (winner of the Nobel Prize in Physics in 1918, founder of quantum mechanics)

          Comment: Planck wrote the above in a letter to a friend after learning the Nazis had executed his son Erwin for participating in an attempt to assassinate Hitler. The time is fast approaching in the US when the worshippers of YHWH, both Jew and Gentile, will face increasingly harsh persecution. Though the insanity has changed the evil driving it has not.


Did You Know

          In French Territories (e.g. Louisiana circa 1724) under the Code Noir (Black Code), Jews were banned (article 1) and it was illegal to practice any religion other than Roman Catholic (article 3). Decades later France passed an official government decree that God did not exist! Comment: Ever wondered why France fought so hard in WWI yet caved so easily in WWII?

          Christians top the list of persecuted faith groups worldwide, as per the International Society for Human Rights, 80% of all incidents of religious discrimination are committed against Christians.

          It has been estimated that 80-90% of arrests made by the Gestapo were the result of information voluntarily provided by regular citizens. Most surveillance was also conducted by neighbors at the Gestapo's request and not by the Gestapo officers themselves. For example: the Wurzburg region had only 28 Gestapo officers over a population of more than a million people. Denunciation (e.g. hostile gossip) was the weapon of choice for the State. Comment: When Uncle Sam abrogates the Second Amendment and starts kicking in doors looking for firearms it will not just be Federal and State databases they use to guide their footsteps. They will also use membership lists and internet searches/purchases as well; and, worse yet, they will use your family and your neighbors against you too. You have been warned.

          As late as 1940 the Nazi's where still trying to find a place to send the Jews (e.g. the Madagascar Plan to force France to surrender the island for Jewish resettlement). Comment: The entire world with one exception (the Dominican Republic), refused to aid the Jews and as such all share in the guilt of the Holocaust. Though the Nazi's wielded the knife the world helped corner the victim.